How will the world respond to the European Union's proposed carbon border tax?

/*
Entry from the Materials Project: an optimized crystal structure of MgMnV4O12 (PBE with a Hubbard U).

```
MgMnV4O12
1.0
5.3824 -4.3478 0.0000
5.3824 4.3478 0.0000
-2.2315 0.0000 5.5072
Mg Mn V O
1 1 4 12
direct
0.0000 0.0000 0.0000
0.8047 0.1953 0.5000
0.1385 0.4514 0.0307
0.3501 0.0519 0.4591
0.5486 0.8615 0.9693
0.9481 0.6499 0.5409
0.0865 0.6437 0.8511
0.0954 0.1499 0.3988
0.1040 0.5905 0.3297
0.3563 0.9135 0.1489
0.3744 0.3467 0.0582
0.4095 0.8960 0.6703
0.5044 0.2293 0.5459
0.6533 0.6256 0.9418
0.7457 0.0100 0.1093
0.7707 0.4956 0.4541
0.8501 0.9046 0.6012
0.9900 0.2543 0.8907
```

Results
Energy   -132.23 eV/cell
Offset from the most stable computed form   1 meV per atom
Total moment   5.007 μB per formula unit
Crystal system   monoclinic
Formation energy from the elements   -2.360 eV per atom
SG   C2

~~~~~

(1)
Here is a relaxed structure of GaSbO4 from the Materials Project. Energies are from PBE.

a b c (Å): 4.6633 4.6633 3.1009
angles (deg): 90.00 90.00 92.36
Last column: nearest neighbours and their distance in Å.
Fractional coordinates of all 6 atoms:
O 0.8059 0.1941 0.5000  2 Sb 2.03, 1 Ga 2.06
O 0.6926 0.6926 0.0000  1 Sb 1.99, 2 Ga 1.99
O 0.1941 0.8059 0.5000  2 Sb 2.03, 1 Ga 2.06
O 0.3074 0.3074 0.0000  1 Sb 1.99, 2 Ga 1.99
Sb 0.0000 0.0000 0.0000  6 O 1.99-2.03
Ga 0.5000 0.5000 0.5000  6 O 1.99-2.06

Values from the calculation:
Symmetry: No. 65

(2)
Here is a relaxed structure of ScGaO3 from the Materials Project. Energies are from PBE.

a b c (Å): 3.3256 3.3256 11.8647
angles (deg): 90.00 90.00 120.00
Last column: nearest neighbours and their distance in Å.
Fractional coordinates of all 10 atoms:
Sc 0.0000 0.0000 0.0000  6 O 2.16
Sc 0.0000 0.0000 0.5000  6 O 2.16
O 0.0000 0.0000 0.7500  3 Ga 1.92
O 0.3333 0.6667 0.0836  1 Ga 1.97, 3 Sc 2.16
O 0.6667 0.3333 0.5836  1 Ga 1.97, 3 Sc 2.16
O 0.3333 0.6667 0.4164  1 Ga 1.97, 3 Sc 2.16
O 0.0000 0.0000 0.2500  3 Ga 1.92
O 0.6667 0.3333 0.9164  1 Ga 1.97, 3 Sc 2.16
Ga 0.6667 0.3333 0.7500  5 O 1.92-1.97
Ga 0.3333 0.6667 0.2500  5 O 1.92-1.97

Values from the calculation:
Symmetry: No. 194

Asked for formation energy from the elements across the records above, the calculation gives -2.055; -3.101 eV/atom in order.

~~~~~

First-principles (meta-GGA r2SCAN) data for crystalline ZrGaPt at its relaxed geometry, as listed in the Materials Project database. Values from VASP.

Calculated values
- crystal system = hexagonal
- energy of formation (eV/atom) = -1.08

Geometry as Quantum ESPRESSO input:
```
&SYSTEM
  ibrav = 0, nat = 9, ntyp = 3
/
ATOMIC_SPECIES
Zr 91.22 Zr.upf
Pt 195.08 Pt.upf
Ga 69.72 Ga.upf
ATOMIC_POSITIONS crystal
Zr 0.5000 0.3965 0.3965
Zr 0.5000 0.6035 0.0000
Zr 0.5000 0.0000 0.6035
Pt 0.5000 0.0000 0.0000
Pt 0.0000 0.6667 0.3333
Pt 0.0000 0.3334 0.6667
Ga 0.0000 0.0000 0.2645
Ga 0.0000 0.7355 0.7355
Ga 0.0000 0.2644 0.0000
CELL_PARAMETERS angstrom
-1.8293 2.8088 -1.3153
6.0975 2.9017 -2.2837
-3.6735 -4.3846 -4.2541
```
*/

Jul 19, 2021
Scott Barrett of Columbia University thinks countries may adopt their own trade-oriented approaches to battling climate change.
Flags of the European Union member states hang inside the Council of the European Union's Lex building in Brussels.
Dan Kitwood/Getty Images

European Union may restrict British TV shows post-Brexit

Jul 15, 2021
Britain’s departure from the 27-member bloc raises questions about the quantity of UK TV shows aired and streamed in continental Europe.
Following Brexit, the European Union may restrict the amount of British TV shows — like "Downton Abbey" — available in the EU. Above, visitors attend a 1920s themed event at Highclere Castle, the main set location of "Downton Abbey," in 2019.
Isabel Infantes/AFP via Getty Images

Britain looks to U.S., China to bolster financial services after Brexit

Jul 1, 2021
After a wait-and-see period caused by Brexit, London is ready to forge a new global path in attracting business partners.
"I think what's increasingly clear is that London's future is going to be global," says Jonathan Hill.
Dan Kitwood/Getty Images

How is Britain's financial services industry faring after Brexit?

Jun 28, 2021
It’s an industry that, in 2019, contributed nearly $200 billion to the U.K.’s economy, and supported nearly a million jobs.
It's been six months since the end of a Brexit transition period for the U.K. How are financial companies moving forward?
Tolga Akmen/AFP via Getty Images

Trade disputes high on Biden's European trip agenda

Jun 9, 2021
Tariffs on wine, cheese, steel and aluminum are among the issues to be resolved.
The first couple arrives in England ahead of the G-7 summit. Biden is expected to try to resolve  disputes involving tariffs on wine, cheese, steel and aluminum.
Brendan Smialowski/AFP via Getty Images

EU seeks to raise the drawbridge on companies that get foreign subsidies

May 5, 2021
It's an attempt to gain leverage over China.
European leaders are increasingly worried that China’s state-dominated economic system is threatening companies in their own countries.
Sean Gallup/Getty Images

Countries want tourists back if they're vaccinated. That may lead to vaccine passports.

May 5, 2021
What counts as proof of immunization when there's no global database to tell a fake apart from the real thing?
"The train’s left the station. It's happening," says Jen Kates, director of global health policy at the Kaiser Family Foundation. "So many countries have said they're doing this. It's just a matter of how to make it work," and how to make it as fair and equitable as possible.
Joel Saget/AFP via Getty Images

For public good, not for profit.

Data records, kept here for reference =
'''
Record 1
A plane-wave DFT calculation with meta-GGA r2SCAN was carried out for Tm2B6Rh9 after structural relaxation.

**Space-group type**: No. 191
**Density**: 9.72 g cm⁻³
**Formation enthalpy at 0 K**: -67 kJ/mol of atoms
**Total magnetization**: 0.000 μB per atom
**Calculated volume**: 13.4 Å³/atom
**Raw total energy**: -20.200 eV per atom

Cell and atoms, written as extended XYZ:
```
17
Lattice="-0.304 0.858 5.472 -2.383 -4.479 -2.242 7.224 -4.388 1.089" Properties=species:S:1:pos:R:3 pbc="T T T"
B 3.133 -5.629 1.056
Rh 4.843 -5.905 -0.211
Rh -0.002 -2.962 -0.942
Rh 2.269 -4.005 2.159
Rh 2.421 -4.434 -0.576
B -0.997 -0.921 2.901
Tm 2.132 -1.295 0.321
B 3.826 -3.851 3.627
B 1.405 -2.380 3.262
Rh 1.038 -0.294 2.915
Rh 5.883 -3.237 3.645
B -1.690 -2.700 0.329
Tm 5.092 -3.093 0.767
Rh 3.460 -1.765 3.280
Rh 4.691 -5.476 2.525
Rh -0.154 -2.533 1.794
B 0.712 -4.159 0.691
```



Record 2
A plane-wave DFT calculation with meta-GGA r2SCAN was carried out for YB4Rh after structural relaxation.

**Space-group type**: No. 55
**Density**: 6.37 g cm⁻³
**Formation enthalpy at 0 K**: -64 kJ/mol of atoms
**Total magnetization**: 0.000 μB per atom
**Calculated volume**: 10.2 Å³/atom
**Raw total energy**: -12.973 eV per atom

Cell and atoms, written as extended XYZ:
```
24
Lattice="-1.981 -2.573 1.461 -1.313 -2.072 -5.428 9.254 -6.900 0.396" Properties=species:S:1:pos:R:3 pbc="T T T"
Rh 3.283 -3.540 -1.781
Y 5.832 -4.749 -0.456
Y 0.894 -1.792 -1.942
B 3.172 -4.807 0.174
B 5.201 -8.886 -4.257
B 2.400 -5.681 -2.411
B 4.788 -7.052 -1.589
Rh -0.252 -2.429 -4.618
B 4.327 -7.660 -3.283
B 7.502 -8.726 -0.857
Rh 8.194 -6.543 -0.413
B 3.560 -5.863 -1.159
B 2.789 -6.737 -3.744
B 1.633 -3.884 -0.288
B 6.665 -9.704 -3.712
B -0.704 -1.841 0.142
Y 7.047 -7.180 -3.089
B 6.156 -7.498 -0.519
B 0.759 -2.658 0.686
B -1.541 -2.819 -2.714
B 1.173 -4.492 -1.982
Y 2.108 -4.223 -4.576
Rh 4.657 -5.432 -3.250
B -0.196 -4.047 -3.051
```



Record 3
A plane-wave DFT calculation with meta-GGA r2SCAN was carried out for YBRh3 after structural relaxation.

**Space-group type**: No. 221
**Density**: 9.29 g cm⁻³
**Formation enthalpy at 0 K**: -80 kJ/mol of atoms
**Total magnetization**: 0.001 μB per atom
**Calculated volume**: 14.6 Å³/atom
**Raw total energy**: -20.838 eV per atom

Cell and atoms, written as extended XYZ:
```
5
Lattice="4.179 0.000 0.000 0.000 4.179 0.000 0.000 0.000 4.179" Properties=species:S:1:pos:R:3 pbc="T T T"
B 2.089 2.089 2.089
Rh 2.089 2.089 0.000
Rh 0.000 2.089 2.089
Rh 2.089 0.000 2.089
Y 0.000 0.000 0.000
```



Record 4
A plane-wave DFT calculation with meta-GGA r2SCAN was carried out for Zn5B3Rh7 after structural relaxation.

**Space-group type**: No. 51
**Density**: 9.81 g cm⁻³
**Formation enthalpy at 0 K**: -46 kJ/mol of atoms
**Total magnetization**: 0.000 μB per atom
**Calculated volume**: 12.2 Å³/atom
**Raw total energy**: -16.176 eV per atom

Cell and atoms, written as extended XYZ:
```
30
'''
The data records stop here =

Germany seethes over the slow delivery of COVID-19 vaccines

Feb 24, 2021
Delays in the European Commission’s procurement of vaccine is tempering Germany’s enthusiasm for the European Union.
A nurse inoculates a resident of Saxony, Germany, with the Pfizer-BioNTech vaccine.
Matthias Rietschel/Getty Images

Eurostar rail service, hit by pandemic, appeals for help from U.K.

Feb 3, 2021
The company has called on the U.K. to join in a bailout, even though it sold its stake in Eurostar in 2015.
Scott Barbour/Getty Images

Simmering tensions over EU vaccine distribution threaten to boil over

Jan 27, 2021
The 27-nation bloc is battling with manufacturers over its spot in the priority list for receiving COVID vaccines.
Joel Saget/AFP via Getty Images